Tools Info Analysis Automatic

The Analysis command provides access to a set of functions used to analyze curves, surfaces, meshes and solids. First select the entities (Entities) you want to analyze, then select the type of analysis to perform in the Type drop-down list.

Entity Size Displays the size of one or more entities
Curve Length Displays the length of a curve.
Surface Area Displays the area of a surface or mesh.  
Volume Displays the partial or total volume and the corresponding weight of the space enclosed by one or more surfaces, meshes and/or solids.  
Center of Mass Displays the coordinates of the center of mass or the center of volume of a set of solids, meshes and/or surfaces.  
Inertia Properties Displays the inertia properties of a set of solids, meshes and/or surfaces.  
Normals Displays the normals to one or more curves/surfaces/meshes/solid faces.
Solid Orientation Enables you to check the normals to the faces of a solid.  
Check Manifold Enables you to determine whether a selected object is manifold or not (i.e.: it encloses a single full space, or has appended surfaces or not).  
Inflection Points Displays arrows indicating the inflections in a selected curve.
Curve Curvature Diagram Creates the graph of the curvature of a curve as a function of the u parameter.
Local Analyzes curves, surfaces, meshes or other entities to display their local information at the selected point.
<<<
A plane-wave DFT calculation with PBE+U was carried out for a geometry-optimized VCr2O4 structure.

Unit cell a=3.9182 b=10.3650 c=3.7987 alpha=90.00 beta=90.00 gamma=90.00
Space group Cmmm (No. 65)
One atom of each set of equivalent atoms:
V 0.0000 0.0000 0.0000 [2 per cell]
Cr 0.0000 0.3465 0.5000 [4 per cell]
O 0.0000 0.1280 0.5000 [4 per cell]
O 0.0000 0.3847 0.0000 [4 per cell]

Total DFT energy (no corrections) in Ry/atom: -0.5587
Relative energy among the computed polymorphs in eV/atom: 0.285


Entry 1:
# PBE Cu4Au, relaxed
# relative energy among the computed polymorphs = 0.608 eV/atom
# total magnetic moment = 0.000 μB/f.u.
# DFT total energy = -3.3511 eV per atom
# ΔE_f = 0.581 eV/atom
# calculated volume = 18.4 Å³ per atom
data_Cu4Au
_chemical_formula_sum 'Cu4 Au1'
_space_group_name_H-M_alt 'P 1'
_space_group_IT_number 1
_space_group_name_Hall 'P 1'
_cell_length_a 4.927
_cell_length_b 4.927
_cell_length_c 4.927
_cell_angle_alpha 109.47
_cell_angle_beta 109.47
_cell_angle_gamma 109.47
loop_
_atom_site_label
_atom_site_fract_x
_atom_site_fract_y
_atom_site_fract_z
Cu1 0.500 0.000 0.000
Cu2 0.500 0.500 0.500
Cu3 0.000 0.500 0.000
Cu4 0.000 0.000 0.500
Au1 0.000 0.000 0.000

Entry 2:
# PBE CuAu2, relaxed
# relative energy among the computed polymorphs = 0.122 eV/atom
# total magnetic moment = 0.000 μB/f.u.
# DFT total energy = -3.4713 eV per atom
# ΔE_f = 0.079 eV/atom
# calculated volume = 18.3 Å³ per atom
data_CuAu2
_chemical_formula_sum 'Cu1 Au2'
_space_group_name_H-M_alt 'P 1'
_space_group_IT_number 1
_space_group_name_Hall 'P 1'
_cell_length_a 4.363
_cell_length_b 4.363
_cell_length_c 2.891
_cell_angle_alpha 90.00
_cell_angle_beta 90.00
_cell_angle_gamma 90.00
loop_
_atom_site_label
_atom_site_fract_x
_atom_site_fract_y
_atom_site_fract_z
Cu1 0.000 0.000 0.000
Au1 0.000 0.500 0.500
Au2 0.500 0.000 0.500


Entry 1:
A plane-wave DFT calculation with PBE was carried out for a relaxed structure of Sc4CoC2S.

Output
Electronic total energy (eV/atom): -7.59

a = 3.369 Å, b = 3.369 Å, c = 12.440 Å
α = 90.00°, β = 90.00°, γ = 120.00°
Site moments in Bohr magnetons follow the coordinates.
Sites, in units of the cell vectors:
Sc: 0.000 0.000 0.643  -0.01
Sc: 0.667 0.333 0.158  -0.09
Sc: 0.000 0.000 0.357  -0.02
Sc: 0.667 0.333 0.842  -0.09
C: 0.333 0.667 0.257  0.01
C: 0.333 0.667 0.743  0.01
Co: 0.000 0.000 0.000  1.10
S: 0.667 0.333 0.500  0.01


Entry 2:
A plane-wave DFT calculation with PBE was carried out for a relaxed structure of CdB2Pt.

Output
Electronic total energy (eV/atom): -3.62

a = 4.271 Å, b = 4.271 Å, c = 4.271 Å
α = 60.00°, β = 60.00°, γ = 60.00°
Sites, in units of the cell vectors:
Cd: 0.750 0.750 0.750
Pt: 0.000 0.000 0.000
B: 0.500 0.500 0.500
B: 0.250 0.250 0.250


Entry 3:
A plane-wave DFT calculation with PBE was carried out for a relaxed structure of TmSiH2O4.

Output
Energy relative to the lowest polymorph listed for this composition (meV/atom): 28.4

a = 5.584 Å, b = 5.584 Å, c = 6.231 Å
>>>
Plane Sections Enables you to easily draw section lines on a set of solids, meshes and/or surfaces.  
Plane Curvature Enables you to easily draw a dynamic plot of the curvature or of the radius of curvature, in which you can change both the scale and the density.  
Highlights Enables you to temporarily draw shadow lines on surfaces, so as to obtain a simplified representation of the surface enabling you to better appreciate its shape and perform a quality estimation of it.  
Isophotes Enables you to temporarily draw isophotes or zebra lines on a surface in order to get a simplified representation of it and estimate its shape.  
-- Records of crystals from another source follow --
- - -
No. 1
Below is a geometry-optimized Ga3IrOs structure, with properties calculated at the GGA-PBE level.

Computed properties:
The energy of formation comes out at 4.28 eV/f.u. The energy above the most stable polymorph in this dataset is 0.00 kJ/mol of atoms.

abc: 4.696 4.696 4.696
angles: 90.00 90.00 90.00
Element x y z (fractional)
1 Ga 0.000 0.000 0.500
2 Ga 0.000 0.500 0.000
3 Ga 0.500 0.000 0.000
4 Ir 0.500 0.500 0.500
5 Os 0.000 0.000 0.000

=====

No. 2
Below is a geometry-optimized AsBrCl2 structure, with properties calculated at the GGA-PBE level.

Computed properties:
As for the uncorrected formation energy: 0.107 eV per atom. The energy above the most stable polymorph in this dataset is 70.07 kJ/mol of atoms.

abc: 3.584 7.122 9.995
angles: 90.00 90.00 90.00
Element x y z (fractional)
1 As 0.000 0.000 0.000
2 As 0.500 0.500 0.000
3 Br 0.000 0.500 0.191
4 Br 0.500 0.000 0.191
5 Cl 0.000 0.000 0.500
6 Cl 0.000 0.500 0.826
7 Cl 0.500 0.000 0.826
8 Cl 0.500 0.500 0.500

=====

No. 3
Below is a geometry-optimized In3Ir structure, with properties calculated at the GGA-PBE level.

Computed properties:
The energy of formation comes out at 0.66 eV/f.u.

abc: 9.736 3.392 5.067
angles: 90.00 99.31 90.00
Element x y z (fractional)
1 In 0.000 0.000 0.000
2 In 0.235 0.000 0.728
3 In 0.265 0.500 0.272
4 In 0.500 0.500 0.000
5 In 0.735 0.500 0.728
6 In 0.765 0.000 0.272
7 Ir 0.000 0.500 0.500
8 Ir 0.500 0.000 0.500

=====

No. 4
Below is a geometry-optimized K3MgSb2O6 structure, with properties calculated at the GGA-PBE level.

Computed properties:
As for the uncorrected formation energy: -1.592 eV per atom.

abc: 6.027 6.027 7.032
angles: 90.00 90.00 120.00
Element x y z (fractional)
1 K 0.000 0.000 0.000
2 K 0.333 0.667 0.653
3 K 0.667 0.333 0.347
4 Mg 0.000 0.000 0.500
5 Sb 0.333 0.667 0.197
6 Sb 0.667 0.333 0.803
7 O 0.166 0.333 0.317
8 O 0.166 0.834 0.317
9 O 0.333 0.166 0.683
10 O 0.667 0.834 0.317
11 O 0.834 0.166 0.683
12 O 0.834 0.667 0.683

=====

No. 5
Below is a geometry-optimized LaSn2Ir structure, with properties calculated at the GGA-PBE level.

Computed properties:
The energy of formation comes out at -0.95 eV/f.u.

abc: 7.168 7.168 7.168
angles: 90.00 90.00 90.00
Element x y z (fractional)
1 La 0.000 0.000 0.000
2 La 0.000 0.500 0.500
- - -
Draft Analysis Enables you to perform a draft analysis. The surfaces will be shaded according to the values of the angle you want to analyze.  
Curvature Map Enables you to analyze the curvature of a surface in several ways.  
Curvature Signs Enables you to shade the objects so as to analyze the locations where the curvature changes its sign; that is concave and or convex.  
GSM Distance Enables you to shade the objects so as to analyze the distances of homologous points in the controlled modification.  
Section Analysis Analyzes the properties of existing sections or sections derived from surfaces in the 3D model.